Friday the 1st of July. Where did June go, all that being ill seems to have gobbled up the month of June. I wake very sluggish and my body is letting me know what it thinks about my resumption of training, I ache, that good kind of “I’m training well ” ache. So I get up tentatively and make myself a muesli breakfast and coffee. My partner and I talk about my birthday present but she is unable to get one delivered from her source so I get into my source and order one for myself. There will be money changing hands at some point when it eventually arrives. A friend calls on her way to Reiki. We chat about family, activities, holidays and the nature of friendship and how that can manifest itself in both good and not so good ways. I say farewell as she arrives at her session. I also get a voice message from another friend who is slightly under the weather. So having had an unexpected lovely time chatting a set about my chores, clearing the kitchen, sorting out the laundry and preparing for the arrival of my youngest daughter and partner tomorrow. Coffee and a first draft of todays blog comes next.

I feed the hedgehog and stow the newly delivered hedgehog food, before my partner and I dash to the village library before it closes at noon to buy programmes for the village heritage weekend. Apparently one programme gets two people admission to the venues. There is an exciting timetable of shows, including the Tiger Moth display the librarian alerted us to.

My partner returns to work in the office and I head to the village shop to get milk and a paper. My friend calls again post Reiki session sounding relaxed and more invigorated. We chat for a while before she returns home to prepare and sip a lemon/honey brew. I get the shopping and then return home to have a lunch of tomato soup whilst watching Wimbledon. I wait for my partner to return from her massage session and then I get myself organised to go out. I load up the old printer and a bag of unrequired tins and drive off to the recycling centre. I dump the printer at the centre and move on to the jewellers, who had rung me earlier, and pick up my repaired gold ring. Its good to get it back despite the repair necessitating the removal of the internal marking. It is now whole and re-polished so I shall remember to take it off every time before I train in future as I am pretty sure that is what caused the damage.

**Attached: crystal structures**
'''
1.
A relaxed structure of VNCl3. Source: the Materials Project, functional PBE.

Values from the calculation:
Final energy, eV per atom: -4.5555
Total moment, μB/f.u.: 5.00
ΔE_f, kJ per mole of atoms: -31.9

Cell and atoms, written as CIF:
```
data_VNCl3
_cell_length_a 7.3013
_cell_length_b 7.3013
_cell_length_c 5.9204
_cell_angle_alpha 90.00
_cell_angle_beta 90.00
_cell_angle_gamma 120.00
_space_group_name_H-M_alt 'P 63/m m c'
_space_group_IT_number 194
_space_group_name_Hall '-P 6c 2c'
loop_
_atom_site_label
_atom_site_fract_x
_atom_site_fract_y
_atom_site_fract_z
V1 0.0000 0.0000 0.0000
N1 0.3333 0.6667 0.2500
Cl1 0.1473 0.2946 0.7500
```

2.
A relaxed structure of WNCl6. Source: the Materials Project, functional PBE.

Values from the calculation:
Final energy, eV per atom: -4.1474
Total moment, μB/f.u.: 3.00
ΔE_f, kJ per mole of atoms: -54.0

Cell and atoms, written as CIF:
```
data_WNCl6
_cell_length_a 12.3680
_cell_length_b 6.5584
_cell_length_c 12.6493
_cell_angle_alpha 90.00
_cell_angle_beta 101.80
_cell_angle_gamma 90.00
_space_group_name_H-M_alt 'C 1 2/c 1'
_space_group_IT_number 15
loop_
_space_group_symop_operation_xyz
'x,y,z'
'-x,-y,-z'
'-x,y,-z+1/2'
'x,-y,z+1/2'
'x+1/2,y+1/2,z'
'-x+1/2,-y+1/2,-z'
'-x+1/2,y+1/2,-z+1/2'
'x+1/2,-y+1/2,z+1/2'
loop_
_atom_site_label
_atom_site_fract_x
_atom_site_fract_y
_atom_site_fract_z
W1 0.2500 0.2500 0.0000
N1 0.0000 0.1191 0.2500
Cl1 0.0871 0.3797 0.9006
Cl2 0.1575 0.0369 0.5388
Cl3 0.2153 0.4065 0.1531
```

3.
A relaxed structure of W2NCl9. Source: the Materials Project, functional PBE.

Values from the calculation:
Final energy, eV per atom: -5.0643
ΔE_f, kJ per mole of atoms: -123.9

Cell and atoms, written as CIF:
```
data_W2NCl9
_cell_length_a 9.1284
_cell_length_b 17.3040
_cell_length_c 12.9362
_cell_angle_alpha 90.00
_cell_angle_beta 134.83
_cell_angle_gamma 90.00
_space_group_name_H-M_alt 'P 1 21/c 1'
_space_group_IT_number 14
loop_
_space_group_symop_operation_xyz
'x,y,z'
'-x,-y,-z'
'-x,y+1/2,-z+1/2'
'x,-y+1/2,z+1/2'
loop_
_atom_site_label
_atom_site_fract_x
_atom_site_fract_y
_atom_site_fract_z
W1 0.1819 0.0929 0.0414
W2 0.1881 0.1913 0.5391
N1 0.1826 0.1944 0.0414
Cl1 0.0032 0.0749 0.8003
Cl2 0.0064 0.1984 0.2954
Cl3 0.1192 0.6913 0.0232
Cl4 0.1408 0.5755 0.5308
Cl5 0.1987 0.0581 0.5357
Cl6 0.3418 0.0743 0.2781
Cl7 0.3669 0.1920 0.7826
Cl8 0.4870 0.0692 0.1095
Cl9 0.4952 0.2027 0.6026
```

4.
A relaxed structure of Y2NCl3. Source: the Materials Project, functional PBE.

Values from the calculation:
Final energy, eV per atom: -6.5802
ΔE_f, kJ per mole of atoms: -233.3

Cell and atoms, written as CIF:
```
data_Y2NCl3
_cell_length_a 16.4777
_cell_length_b 3.8494
_cell_length_c 10.7864
_cell_angle_alpha 90.00
_cell_angle_beta 121.79
_cell_angle_gamma 90.00
_space_group_name_H-M_alt 'C 1 2/m 1'
_space_group_IT_number 12
loop_
_space_group_symop_operation_xyz
'x,y,z'
'-x,-y,-z'
'-x,y,-z'
'x,-y,z'
'x+1/2,y+1/2,z'
'-x+1/2,-y+1/2,-z'
'-x+1/2,y+1/2,-z'
'x+1/2,-y+1/2,z'
loop_
_atom_site_label
'''

My ring is finally back with me.

I move on to Sainsburys and leave my bag of unneeded food cans. I never did like Spam and prunes. I look for a cash book as I’ve decided to keep a cash book for a while as I transition from independent practitioner to properly retired person. Sainsburys do not have one so I am forced to order one from Amazon. I get enough cash out of the machine to see me through and drive home intending to train. When I do I find it is later than I thought. My intention to train is over ridden by my fatigue. I become over come with tiredness, I guess am still recovering from the after effects of COVID. I resort to the sofa, drafting the blog, Wimbledon, NCIS and then after tea a bath. My evening is going to be quiet and contain zero cognitive effort.

I do believe its slowly coming together